Source:
Entry 1:
19
Properties=species:S:1:pos:R:3:forces:R:3:nbo_charge:R:1 method="wB97M-V/def2-TZVPD" homo_energy_ev=-7.89 gap_ha=0.3232 smiles="C[PH]#CN.C=CC" max_force_ha_per_bohr=0.1122 de_lowest_kcal_mol=85.85
P 2.7282 0.0408 0.2285 -0.3226 0.4471 0.7715 0.516
N 1.3523 2.3735 0.0847 1.2873 -0.9085 -0.5209 -0.747
C -2.0583 0.8397 -0.0845 2.1076 1.7810 0.1067 -0.650
C 1.9099 -1.5402 -0.2035 -2.6166 -1.7479 -0.0197 -0.958
C 1.6712 1.2486 -0.5479 -0.9287 0.6341 -0.4368 -0.204
C -1.5547 -0.5297 -0.4060 -0.2079 -0.5158 -1.8935 -0.184
C -2.0734 -1.5564 0.2472 3.0749 -3.4193 -3.4861 -0.403
H -1.0177 -0.7348 -1.3753 -0.1765 0.5738 1.2691 0.210
H 1.8171 2.7080 0.9071 0.2737 -0.2136 1.0652 0.346
H -1.8297 -2.6939 -0.0891 -0.7817 2.9343 1.1267 0.201
H -1.1775 1.6237 0.0946 -1.8184 -1.5926 -0.8254 0.215
H -2.5159 0.7815 0.9055 -0.5767 0.2211 -0.3334 0.206
H -2.6807 -1.3056 1.0033 -2.2602 0.0267 2.9899 0.178
H 0.9466 3.1607 -0.3791 -0.5562 -0.0341 -0.7435 0.380
H -2.7287 1.1796 -0.9183 0.5032 0.0074 1.0429 0.224
H 2.1853 0.2584 1.5429 0.4048 -0.4106 -0.0548 -0.065
H 2.3737 -2.4991 0.1160 0.3718 1.0012 0.2564 0.241
H 0.7998 -1.6683 0.1727 2.1497 0.6557 -0.6777 0.247
H 1.8527 -1.6865 -1.2989 0.0725 0.5600 0.3636 0.246

Entry 2:
19
Properties=species:S:1:pos:R:3:forces:R:3:nbo_charge:R:1 method="wB97M-V/def2-TZVPD" homo_energy_ev=-2.26 gap_ha=0.2088 smiles=CCCNCC[S-] max_force_ha_per_bohr=0.0559 de_lowest_kcal_mol=14.31 total_charge=-1
S -2.0089 3.2375 1.4615 -0.0255 -0.0485 -0.0449 -0.739
N -0.3694 -0.0975 1.3484 0.2375 -0.0696 0.3463 -0.639
C 1.0651 -2.0631 -1.5525 0.0367 0.8402 -0.5571 -0.599
C 0.9159 -0.8834 -0.6137 -0.5198 -0.8091 0.8690 -0.421
C -0.9461 2.1872 0.4027 -0.3915 0.3000 0.3411 -0.551
C -0.4241 -0.8960 0.0941 -1.2579 1.8908 1.1639 -0.220
C 0.0233 1.3190 1.2181 0.3099 -0.9933 -2.6773 -0.234
H -1.2206 -0.4360 -0.5149 0.3772 -0.1553 -0.6284 0.165
H 0.3128 -2.0540 -2.3274 -0.5568 -0.0568 -0.1799 0.195
H 0.9943 0.1036 -1.0409 0.3191 0.1115 -0.6617 0.211
H 1.9958 -1.9661 -2.1075 0.3451 -0.4847 0.1876 0.197
H 1.7026 -0.9662 0.1394 -0.0172 0.1325 0.1471 0.200
H -0.8833 -1.8328 0.3878 0.6356 -0.7358 -0.0774 0.180
H -1.2940 -0.0383 1.7591 -0.1853 -0.3567 0.0016 0.357
H 0.9855 1.3234 0.6900 0.1650 0.0134 0.2325 0.151
H 0.1893 1.7068 2.1728 0.0423 0.6945 1.5267 0.206
H -0.4064 2.7951 -0.3306 0.1448 0.0854 0.1239 0.170
H -1.5959 1.5457 -0.1973 0.0284 -0.1449 -0.0239 0.171
H 0.9640 -2.9852 -0.9891 0.3124 -0.2135 -0.0892 0.200

Entry 3:
19
Properties=species:S:1:pos:R:3:forces:R:3:nbo_charge:R:1 method="wB97M-V/def2-TZVPD" homo_energy_ev=-2.16 gap_ha=0.2063 smiles=CCN[C@@H](C)C[S-] max_force_ha_per_bohr=0.0775 de_lowest_kcal_mol=19.16 total_charge=-1
S 2.8898 -0.5166 -2.2820 0.5900 0.0616 0.1418 -0.756
N 0.0863 0.4725 0.4771 -1.0834 -0.0915 1.7278 -0.638
C 2.1334 0.4834 -0.9271 -1.4000 -1.4016 -1.4931 -0.511
C -1.5524 0.0018 2.4779 0.1829 1.1282 0.2025 -0.615
C 0.6453 -0.1636 -0.6841 3.7081 1.1062 -0.9582 -0.081
C -0.9506 -0.3498 1.1216 -0.7444 -0.6433 -1.0630 -0.210
C -0.1699 -0.1514 -1.9685 -0.5250 0.8695 0.0820 -0.647
H 2.6759 0.3328 -0.0045 0.0902 0.3035 0.2803 0.182
H 2.1776 1.5155 -1.3062 -0.4834 -0.0451 0.6400 0.179
H -0.7517 -0.1020 3.2092 -0.3408 -0.1328 0.4819 0.203
H -2.4625 -0.5829 2.7024 0.7769 -0.3545 -0.0584 0.203
H -1.0483 -0.7678 -1.8239 -0.5818 -0.0274 -0.0937 0.179
H 0.3489 -0.5205 -2.8626 0.2426 0.0994 0.6214 0.267
H -0.4753 0.9114 -2.1745 0.0398 -0.7945 0.1168 0.174
H -1.8039 -0.4537 0.4468 -0.2881 -0.1056 -0.3088 0.144
H -0.2681 1.4047 0.2692 0.0623 -0.2601 -0.0719 0.345
H -0.5451 -1.3780 1.1816 -0.0087 0.4688 0.1135 0.185
H 1.0228 -1.1681 -0.4386 -0.7823 0.0311 0.0865 0.204
H -1.9521 1.0326 2.5862 0.5451 -0.2119 -0.4474 0.192

Entry 4:
19
Properties=species:S:1:pos:R:3:forces:R:3:nbo_charge:R:1 method="wB97M-V/def2-TZVPD" homo_energy_ev=-2.28 gap_ha=0.2135 smiles=CCN[C@H](C)C[S-] max_force_ha_per_bohr=0.0376 de_lowest_kcal_mol=6.56 total_charge=-1
S 0.6494 -1.7713 3.2701 -0.0246 -0.1580 -0.0713 -0.723

Request:
The reader should print all of the contents further up exactly.

Completed:
Entry 1:
19
Properties=species:S:1:pos:R:3:forces:R:3:nbo_charge:R:1 method="wB97M-V/def2-TZVPD" homo_energy_ev=-7.89 gap_ha=0.3232 smiles="C[PH]#CN.C=CC" max_force_ha_per_bohr=0.1122 de_lowest_kcal_mol=85.85
P 2.7282 0.0408 0.2285 -0.3226 0.4471 0.7715 0.516
N 1.3523 2.3735 0.0847 1.2873 -0.9085 -0.5209 -0.747
C -2.0583 0.8397 -0.0845 2.1076 1.7810 0.1067 -0.650
C 1.9099 -1.5402 -0.2035 -2.6166 -1.7479 -0.0197 -0.958
C 1.6712 1.2486 -0.5479 -0.9287 0.6341 -0.4368 -0.204
C -1.5547 -0.5297 -0.4060 -0.2079 -0.5158 -1.8935 -0.184
C -2.0734 -1.5564 0.2472 3.0749 -3.4193 -3.4861 -0.403
H -1.0177 -0.7348 -1.3753 -0.1765 0.5738 1.2691 0.210
H 1.8171 2.7080 0.9071 0.2737 -0.2136 1.0652 0.346
H -1.8297 -2.6939 -0.0891 -0.7817 2.9343 1.1267 0.201
H -1.1775 1.6237 0.0946 -1.8184 -1.5926 -0.8254 0.215
H -2.5159 0.7815 0.9055 -0.5767 0.2211 -0.3334 0.206
H -2.6807 -1.3056 1.0033 -2.2602 0.0267 2.9899 0.178
H 0.9466 3.1607 -0.3791 -0.5562 -0.0341 -0.7435 0.380
H -2.7287 1.1796 -0.9183 0.5032 0.0074 1.0429 0.224
H 2.1853 0.2584 1.5429 0.4048 -0.4106 -0.0548 -0.065
H 2.3737 -2.4991 0.1160 0.3718 1.0012 0.2564 0.241
H 0.7998 -1.6683 0.1727 2.1497 0.6557 -0.6777 0.247
H 1.8527 -1.6865 -1.2989 0.0725 0.5600 0.3636 0.246

Entry 2:
19
Properties=species:S:1:pos:R:3:forces:R:3:nbo_charge:R:1 method="wB97M-V/def2-TZVPD" homo_energy_ev=-2.26 gap_ha=0.2088 smiles=CCCNCC[S-] max_force_ha_per_bohr=0.0559 de_lowest_kcal_mol=14.31 total_charge=-1
S -2.0089 3.2375 1.4615 -0.0255 -0.0485 -0.0449 -0.739
N -0.3694 -0.0975 1.3484 0.2375 -0.0696 0.3463 -0.639
C 1.0651 -2.0631 -1.5525 0.0367 0.8402 -0.5571 -0.599
C 0.9159 -0.8834 -0.6137 -0.5198 -0.8091 0.8690 -0.421
C -0.9461 2.1872 0.4027 -0.3915 0.3000 0.3411 -0.551
C -0.4241 -0.8960 0.0941 -1.2579 1.8908 1.1639 -0.220
C 0.0233 1.3190 1.2181 0.3099 -0.9933 -2.6773 -0.234
H -1.2206 -0.4360 -0.5149 0.3772 -0.1553 -0.6284 0.165
H 0.3128 -2.0540 -2.3274 -0.5568 -0.0568 -0.1799 0.195
H 0.9943 0.1036 -1.0409 0.3191 0.1115 -0.6617 0.211
H 1.9958 -1.9661 -2.1075 0.3451 -0.4847 0.1876 0.197
H 1.7026 -0.9662 0.1394 -0.0172 0.1325 0.1471 0.200
H -0.8833 -1.8328 0.3878 0.6356 -0.7358 -0.0774 0.180
H -1.2940 -0.0383 1.7591 -0.1853 -0.3567 0.0016 0.357
H 0.9855 1.3234 0.6900 0.1650 0.0134 0.2325 0.151
H 0.1893 1.7068 2.1728 0.0423 0.6945 1.5267 0.206
H -0.4064 2.7951 -0.3306 0.1448 0.0854 0.1239 0.170
H -1.5959 1.5457 -0.1973 0.0284 -0.1449 -0.0239 0.171
H 0.9640 -2.9852 -0.9891 0.3124 -0.2135 -0.0892 0.200

Entry 3:
19
Properties=species:S:1:pos:R:3:forces:R:3:nbo_charge:R:1 method="wB97M-V/def2-TZVPD" homo_energy_ev=-2.16 gap_ha=0.2063 smiles=CCN[C@@H](C)C[S-] max_force_ha_per_bohr=0.0775 de_lowest_kcal_mol=19.16 total_charge=-1
S 2.8898 -0.5166 -2.2820 0.5900 0.0616 0.1418 -0.756
N 0.0863 0.4725 0.4771 -1.0834 -0.0915 1.7278 -0.638
C 2.1334 0.4834 -0.9271 -1.4000 -1.4016 -1.4931 -0.511
C -1.5524 0.0018 2.4779 0.1829 1.1282 0.2025 -0.615
C 0.6453 -0.1636 -0.6841 3.7081 1.1062 -0.9582 -0.081
C -0.9506 -0.3498 1.1216 -0.7444 -0.6433 -1.0630 -0.210
C -0.1699 -0.1514 -1.9685 -0.5250 0.8695 0.0820 -0.647
H 2.6759 0.3328 -0.0045 0.0902 0.3035 0.2803 0.182
H 2.1776 1.5155 -1.3062 -0.4834 -0.0451 0.6400 0.179
H -0.7517 -0.1020 3.2092 -0.3408 -0.1328 0.4819 0.203
H -2.4625 -0.5829 2.7024 0.7769 -0.3545 -0.0584 0.203
H -1.0483 -0.7678 -1.8239 -0.5818 -0.0274 -0.0937 0.179
H 0.3489 -0.5205 -2.8626 0.2426 0.0994 0.6214 0.267
H -0.4753 0.9114 -2.1745 0.0398 -0.7945 0.1168 0.174
H -1.8039 -0.4537 0.4468 -0.2881 -0.1056 -0.3088 0.144
H -0.2681 1.4047 0.2692 0.0623 -0.2601 -0.0719 0.345
H -0.5451 -1.3780 1.1816 -0.0087 0.4688 0.1135 0.185
H 1.0228 -1.1681 -0.4386 -0.7823 0.0311 0.0865 0.204
H -1.9521 1.0326 2.5862 0.5451 -0.2119 -0.4474 0.192

Entry 4:
19
Properties=species:S:1:pos:R:3:forces:R:3:nbo_charge:R:1 method="wB97M-V/def2-TZVPD" homo_energy_ev=-2.28 gap_ha=0.2135 smiles=CCN[C@H](C)C[S-] max_force_ha_per_bohr=0.0376 de_lowest_kcal_mol=6.56 total_charge=-1
S 0.6494 -1.7713 3.2701 -0.0246 -0.1580 -0.0713 -0.723